Pastoral Letter from Rev. Julian Pursehouse

Pastoral Letter – East Anglia District

Chair of the District – Revd. Julian M. Pursehouse


Sisters and Brothers in Christ,

The other day I found myself in the novel position of conducting a funeral – I say novel for I realised that I had not done one for 7 years since being a Chair of District. It was a privilege to conduct the funeral of the late Revd. G. Allan Stanton a retired minister in the Norwich Circuit – to mourn his loss, to give thanks for his ministry and to commend him into the hands of Almighty God. In the light of the viral pandemic and the restrictions of lockdown this was to be a socially-distanced funeral! Nothing quite prepared me for this eventuality – not only was there the obvious sense of loss and grief for close family but there was a deeper sense of grief that belonged to the wider social context. There was no consoling touch, no comforting arm or shoulder, no clasped grieving hands and no sharing of tissues amongst a congregation of 7 who were spaced 2 meters apart. The absence of these familiar gestures of human warmth and kindness moved me deeply for it seemed to mirror the deep sense of loss that we are all feeling in the present crisis. At a personal level, I long for the day when I can embrace my Mum as I always did and I long for the day when I can sit and share the crack with good friends – for a while these must be conjured memories!

As I pondered these things I was reminded of the voice of lament in the biblical tradition; those passages where honest, difficult and painful realities are expressed in the presence of God. I’m often struck by how pervasive this voice of lament is in the Psalmody; here for example we have the anguish of Psalm 13;

‘How long, O Lord? Will you forget me for ever!
How long will you hide your face from me?
How long must I bear pain in my soul, and have sorrow in my heart all day long?’ 

Perhaps in this strange period of time it is healthy and therapeutic to express our collective sense of lament not because we lack faith or we particularly doubt God’s goodness but instead because ‘lament is the last refuge of the courage that hopes in God’. To articulate lament is good for the soul; for it is often an authentic, raw and real unveiling of self in the presence of the one who continues to enfold us in restorative and transforming love. Each time we lament we discover the rich plenitude of God’s grace and the divine patience that bears with us. Each time we lament we rediscover the endless hospitality of God’s love and the still presence that lies at the heart of all things. It is indeed the last refuge for those who have used up their own reserves only to discover the reserves of eternity.

Here the article breaks off for materials data =
[1]
## La2AgSn (GGA-PBE)

Data for crystalline La2AgSn at its relaxed geometry.

Computed properties:
Calculated density = 7.20 g/cm3
Symmetry = Imma (74)
Final energy = -0.3446 Ry per atom

a = 7.166 Å, b = 7.707 Å, c = 8.427 Å
α = 90.00°, β = 90.00°, γ = 90.00°
Fractional positions:
Ag  0.752  0.250  0.000
Ag  0.248  0.750  0.000
Ag  0.252  0.750  0.500
Ag  0.748  0.250  0.500
La  0.500  0.000  0.249
La  0.500  0.500  0.249
La  0.000  0.000  0.251
La  0.000  0.500  0.251
La  0.000  0.000  0.749
La  0.000  0.500  0.749
La  0.500  0.000  0.751
La  0.500  0.500  0.751
Sn  0.248  0.250  0.000
Sn  0.752  0.750  0.000
Sn  0.252  0.250  0.500
Sn  0.748  0.750  0.500

[2]
## FeAg2 (GGA-PBE)

Data for crystalline FeAg2 at its relaxed geometry.

Computed properties:
Energy of formation from the pure elements = 65.9 kJ per mole of atoms
Calculated density = 8.41 g/cm3
Symmetry = Fd-3m (227)

a = 5.333 Å, b = 5.333 Å, c = 5.333 Å
α = 60.00°, β = 60.00°, γ = 60.00°
Last column: magnetic moment on the atom in μB.
Fractional positions:
Ag  0.625  0.625  0.125  0.00
Ag  0.625  0.125  0.625  0.00
Ag  0.125  0.625  0.625  -0.01
Ag  0.625  0.625  0.625  0.00
Fe  0.000  0.000  0.000  3.08
Fe  0.250  0.250  0.250  3.08

M_tot, respectively: 0.0825 1.0136 μB per atom.

~~~~~

(1)
# BaSrSe | Alexandria | PBE | optimized geometry
# * ρ: 3546 kg/m³
# * distance to the lowest polymorph of the same formula: 965 meV/atom
# * formation energy (no corrections): -0.29 eV/atom
# * total magnetization: 0.000 μB per atom
# * final energy: -31.8 eV/cell
data_BaSrSe
_cell_length_a 8.288
_cell_length_b 8.288
_cell_length_c 8.288
_cell_angle_alpha 90.00
_cell_angle_beta 90.00
_cell_angle_gamma 90.00
_space_group_name_H-M_alt 'F -4 3 m'
_space_group_IT_number 216
_space_group_name_Hall 'F -4 2 3'
loop_
_atom_site_label
_atom_site_type_symbol
_atom_site_fract_x
_atom_site_fract_y
_atom_site_fract_z
Ba1 Ba 0.000 0.000 0.000
Sr1 Sr 0.250 0.250 0.250
Se1 Se 0.250 0.250 0.750



(2)
# Sm3HoSe6 | Alexandria | PBE | optimized geometry
# * ρ: 5866 kg/m³
# * formation energy (no corrections): -1.86 eV/atom
# * total magnetization: 0.000 μB per atom
# * final energy: -349.4 eV/cell
data_Sm3HoSe6
_cell_length_a 12.1554
_cell_length_b 12.1554
_cell_length_c 14.4655
_cell_angle_alpha 90.00
_cell_angle_beta 90.00
_cell_angle_gamma 120.00
_space_group_name_H-M_alt 'R -3'
_space_group_IT_number 148
_space_group_name_Hall '-R 3'
loop_
_atom_site_label
_atom_site_type_symbol
_atom_site_fract_x
_atom_site_fract_y
_atom_site_fract_z
Sm1 Sm 0.0520 0.7804 0.2014
Ho1 Ho 0.0000 0.0000 0.0000
Ho2 Ho 0.0000 0.0000 0.5000
Se1 Se 0.0197 0.8104 0.3975
Se2 Se 0.0325 0.8387 0.8779



(3)
# NaAcPbSe3 | Alexandria | PBE | optimized geometry
# * ρ: 5801 kg/m³
# * formation energy (no corrections): -1.25 eV/atom
# * total magnetization: 0.000 μB per atom
# * final energy: -54.2 eV/cell
data_NaAcPbSe3
_cell_length_a 9.156
_cell_length_b 4.301
_cell_length_c 10.206
_cell_angle_alpha 90.00
_cell_angle_beta 98.63

I do hope and pray that as you journey through these difficult times you will acknowledge the lost things and find the voice of lament. I trust too that in your lamenting you will discover the rich and inexhaustible love of God that holds you fast and will not let you go! I leave you this week with the words of Bernadette Farrell;

O God, you search me and you know me.
All my thoughts lie open to your gaze.
When I walk or lie down you are before me:
Ever the maker and keeper of my days.

With Peace and Blessing,  Julian